Bill Southcott gained the degree of Bachelor of Veterinary Science from the University of Sydney in 1941.After graduation he spent five years in Tasmania as a veterinary officer with the Department of Agriculture performing general disease investigations, quarantineduties, and was also in practice under the Nationalised Veterinary Service that had ecently commenced. He then joined the firm of William Cooper and Nephews as an adviser and research veterinarian and this appointment provided valuable contact with commerce and with the problems of the cattle industry in Queensland.
Next to the text, the page also holds records of crystals:
┌──
CrC7N2O5 after structural relaxation, computed with GGA+U.

Output
VASP energy	-7.249	eV per atom
formation energy	0.100	eV/atom
MP2020-corrected energy	-7.611	eV per atom
total magnetization	3.992	μB/f.u.

a = 13.7294 Å, b = 6.4929 Å, c = 12.0702 Å
α = 90.00°, β = 96.84°, γ = 90.00°
Closest atoms and distances in Å follow each position.
Positions (direct):
Cr: 0.2123 0.0519 0.4003  6 C 1.89-1.93
Cr: 0.2123 0.4481 0.9003  6 C 1.89-1.93
Cr: 0.7877 0.5519 0.0997  6 C 1.89-1.93
Cr: 0.7877 0.9481 0.5997  6 C 1.89-1.93
C: 0.1101 0.5565 0.7946  1 O 1.16
C: 0.1101 0.9435 0.2946  1 O 1.16
C: 0.1135 0.1695 0.4814  1 O 1.16
C: 0.1135 0.3305 0.9814  1 O 1.16
C: 0.2109 0.6990 0.9857  1 O 1.16
C: 0.2109 0.8010 0.4857  1 O 1.16
C: 0.2167 0.1992 0.8148  1 O 1.16
C: 0.2167 0.3008 0.3148  1 O 1.16
C: 0.3063 0.1659 0.5162  1 O 1.15
C: 0.3063 0.3341 0.0162  1 O 1.15
C: 0.3092 0.5564 0.8181  1 N 1.26
C: 0.3092 0.9436 0.3181  1 N 1.26
C: 0.4399 0.6819 0.7073  1 N 1.24
C: 0.4399 0.8181 0.2073  1 N 1.24
C: 0.5601 0.1819 0.7927  1 N 1.24
C: 0.5601 0.3181 0.2927  1 N 1.24
C: 0.6908 0.0564 0.6819  1 N 1.26
C: 0.6908 0.4436 0.1819  1 N 1.26
C: 0.6937 0.6659 0.9838  1 O 1.15
C: 0.6937 0.8341 0.4838  1 O 1.15
C: 0.7833 0.6992 0.6852  1 O 1.16
C: 0.7833 0.8008 0.1852  1 O 1.16
C: 0.7891 0.1990 0.5143  1 O 1.16
C: 0.7891 0.3010 0.0143  1 O 1.16
C: 0.8865 0.6695 0.0186  1 O 1.16
C: 0.8865 0.8305 0.5186  1 O 1.16
C: 0.8899 0.0565 0.7054  1 O 1.16
C: 0.8899 0.4435 0.2054  1 O 1.16
N: 0.3747 0.6186 0.7616  2 C 1.24-1.26
N: 0.3747 0.8814 0.2616  2 C 1.24-1.26
N: 0.4615 0.7288 0.9826  1 O 2.74, 2 C 2.82-2.93, 1 N 2.88
N: 0.4615 0.7712 0.4826  1 O 2.74, 2 C 2.82-2.93, 1 N 2.88
N: 0.5385 0.2288 0.5174  1 O 2.74, 2 C 2.82-2.93, 1 N 2.88
N: 0.5385 0.2712 0.0174  1 O 2.74, 2 C 2.82-2.93, 1 N 2.88
N: 0.6253 0.1186 0.7384  2 C 1.24-1.26
N: 0.6253 0.3814 0.2384  2 C 1.24-1.26
O: 0.0472 0.6200 0.7311  1 C 1.16
O: 0.0472 0.8800 0.2311  1 C 1.16
O: 0.0555 0.2411 0.5321  1 C 1.16
O: 0.0555 0.2589 0.0321  1 C 1.16
O: 0.2116 0.6519 0.5383  1 C 1.16
O: 0.2116 0.8481 0.0383  1 C 1.16
O: 0.2189 0.0495 0.7631  1 C 1.16
O: 0.2189 0.4505 0.2631  1 C 1.16
O: 0.3570 0.2354 0.5899  1 C 1.15
O: 0.3570 0.2646 0.0899  1 C 1.15
O: 0.6430 0.7354 0.9101  1 C 1.15
O: 0.6430 0.7646 0.4101  1 C 1.15
O: 0.7811 0.5495 0.7369  1 C 1.16
O: 0.7811 0.9505 0.2369  1 C 1.16
O: 0.7884 0.1519 0.9617  1 C 1.16
O: 0.7884 0.3481 0.4617  1 C 1.16
O: 0.9445 0.7411 0.9679  1 C 1.16
O: 0.9445 0.7589 0.4679  1 C 1.16
O: 0.9528 0.1200 0.7689  1 C 1.16
O: 0.9528 0.3800 0.2689  1 C 1.16

***

Na3CrC6O17 after structural relaxation, computed with GGA+U.

Output
VASP energy	-6.516	eV per atom
formation energy	-0.919	eV/atom
MP2020-corrected energy	-6.590	eV per atom
total magnetization	7.000	μB/f.u.

a = 10.7377 Å, b = 10.7377 Å, c = 14.1838 Å
α = 99.73°, β = 99.73°, γ = 75.08°
Closest atoms and distances in Å follow each position.
Positions (direct):
Na: 0.0024 0.9976 0.5000  6 O 2.44-2.57
Na: 0.0599 0.2341 0.7788  2 O 2.41-2.47
└──
In 1947 he joined the CSIR as a research officer and was stationed at the newly commissioned Pastoral Research Laboratory at Armidale, NSW. On retirement in 1982, he had completed 35 years of service as a scientist and scientific administrator at CSIRO. During this time he was stationed at the Pastoral Research Laboratory at Armidale and worked successively in the Divisions of Animal Health and Production, Animal Physiology and Animal Health. In 1976 he was appointed Assistant Chief in the Division of Animal Health with specia lresponsibilities in research administration at Armidale and the Division’s laboratories at Indooroopilly and Townsville in Queensland.
Throughout his professional career Billworked principally on the applied animalhealth and production problems ofthe Australian grazing industry. In the 1950s, one problem that was increasing in frequency and severity with thedevelopment of sown pastures was ovine posthitis. At the time many thought that the disease was solely due to environmental conditions and non-contagious. Bill’s studies isolated diphtheroid bacteria that were responsible for initiating the ulceration that was precursor to the disease. Testosterone implants were found to be a control measure with much of the testing of these implants being done at the Pastoral Research Laboratory. The originality and importance of this work was recognised by the award of the Payne Exhibition to Bill by the University of Melbourne in 1966. In 1972 he was awarded the Degree of Doctor of Veterinary Science for the published work Studies on Posthitis and Vulvitis of Sheep.
Bill always championed the cause of integrated control of gastro-intestinal parasites in order to decrease reliance on anthelmintics as the sole control measure.His early studies with his colleagues at Armidale were on parasite epidemiology aimed at discovering weak links in their life cycle that could be taken advantage of in control systems. These studies lead to the use of alternate grazing of sheep and cattle as a means of reducing the worm burdens in both hosts and also provided the information for the development ofsimulation models of the parasites life cycle.
Bill’s interest in the possibility of selecting sheep for parasite resistance commenced in 1949 when he noticed in the Merino Strain Trial that strong wool sheep had smaller parasite burdens than the fine woolstrains. Bill then spent many subsequent years arguing the case for the CSIRO to undertake such a project. Until finally in the early 1970s basic heritability studies were commenced at Armidale leading to the selection programs that succeeded inproducing parasite resistant sheep.
In the inaugural years of the Faculty of Rural Science at the University of New England, Bill organised and taught the Parasitology course and he supervised candidates for PhD and Masters Degrees.He was also a kind and supportive mentor for young people starting their careers in CSIRO. Bill always encouraged them to undertake further education and training. After his retirement, Bill continued his support for young scientists with the establishment of the Southcott Scholarship that provides financial assistance for Honours Students in parasitology at the University of New England.
-- What comes next are materials data, not part of the page --
Entry 1:
Computed, not measured: a relaxed structure of Ce7Rh3 at the GGA-PBE level of DFT.

Cell and atoms, written as POSCAR:
```
Ce7Rh3
1.0
9.814 0.000 0.000
-4.907 8.499 0.000
0.000 0.000 6.137
Ce Rh
14 6
Direct
0.077 0.539 0.000
0.128 0.257 0.712
0.128 0.872 0.712
0.257 0.128 0.212
0.333 0.667 0.516
0.461 0.539 0.000
0.461 0.923 0.000
0.539 0.077 0.500
0.539 0.461 0.500
0.667 0.333 0.016
0.743 0.872 0.712
0.872 0.128 0.212
0.872 0.743 0.212
0.923 0.461 0.500
0.186 0.372 0.256
0.186 0.814 0.256
0.372 0.186 0.756
0.628 0.814 0.256
0.814 0.186 0.756
0.814 0.628 0.756
```

Results
SG ... P6_3mc (186)
Formation energy from the elements ... -10.462 kcal/mol of atoms
E ... -136.32 eV/cell


Entry 2:
Computed, not measured: a relaxed structure of Ce3Rh2 at the GGA-PBE level of DFT.

Cell and atoms, written as POSCAR:
```
Ce3Rh2
1.0
4.364 2.519 5.495
-4.364 2.519 5.495
0.000 -5.039 5.495
Ce Rh
9 6
Direct
0.000 0.000 0.000
0.166 0.390 0.663
0.205 0.205 0.205
0.337 0.834 0.610
0.390 0.663 0.166
0.610 0.337 0.834
0.663 0.166 0.390
0.795 0.795 0.795
0.834 0.610 0.337
0.046 0.834 0.409
0.166 0.591 0.954
0.409 0.046 0.834
0.591 0.954 0.166
0.834 0.409 0.046
0.954 0.166 0.591
```

Results
SG ... R-3 (148)
Formation energy from the elements ... -13.501 kcal/mol of atoms
E ... -106.37 eV/cell


Entry 3:
Computed, not measured: a relaxed structure of CeSbRh at the GGA-PBE level of DFT.

Cell and atoms, written as POSCAR:
```
CeSbRh
1.0
5.439 -2.209 0.000
5.439 2.209 0.000
-4.606 0.000 5.579
Ce Sb Rh
2 2 2
Direct
0.063 0.063 0.332
0.937 0.937 0.668
0.333 0.333 0.916
0.667 0.667 0.084
0.335 0.335 0.306
0.665 0.665 0.694
```

Results
SG ... C2/m (12)
Formation energy from the elements ... -18.979 kcal/mol of atoms
E ... -39.79 eV/cell


Entry 4:
Computed, not measured: a relaxed structure of Ce2Sb4Rh3 at the GGA-PBE level of DFT.

Cell and atoms, written as POSCAR:
```
Ce2Sb4Rh3
1.0
16.253 0.000 0.000
0.000 4.579 0.000
0.000 0.000 10.937
Ce Sb Rh
8 16 12
Direct
0.003 0.250 0.246
0.250 0.250 0.084
0.250 0.750 0.584
0.497 0.750 0.746
0.503 0.250 0.254
0.750 0.250 0.416
0.750 0.750 0.916
0.997 0.750 0.754
0.068 0.750 0.445
0.104 0.750 0.063
0.151 0.250 0.771
0.210 0.250 0.383
0.290 0.750 0.883
0.349 0.750 0.271
0.396 0.250 0.563
0.432 0.250 0.945
0.568 0.750 0.055
0.604 0.750 0.437
0.651 0.250 0.729
0.710 0.250 0.117
0.790 0.750 0.617
0.849 0.750 0.229
0.896 0.250 0.937
0.932 0.250 0.555
0.057 0.250 0.965
0.093 0.250 0.553
0.183 0.750 0.274
0.317 0.250 0.774
0.407 0.750 0.053
0.443 0.750 0.465
0.557 0.250 0.535
0.593 0.250 0.947
0.683 0.750 0.226
0.817 0.250 0.726
0.907 0.750 0.447
0.943 0.750 0.035
```

Results
SG ... Pnma (62)
Formation energy from the elements ... -18.950 kcal/mol of atoms
E ... -231.48 eV/cell


Entry 5:
Computed, not measured: a relaxed structure of CeSbRh at the GGA-PBE level of DFT.

Cell and atoms, written as POSCAR:
```
CeSbRh
1.0
7.342 0.000 0.000
0.000 4.658 0.000
0.000 0.000 7.837
Ce Sb Rh
4 4 4
Direct
0.014 0.250 0.198
After retirement from CSIRO, Bill and his wife Beth became full time farmers.They moved out of Armidale to take up residence on one of their properties in the Armidale district where they ran a sheep and cattle enterprise. Only in the past couple of years did Bill finally hangup his drenching gun and move back into Armidale to commence a real retirement.
Prepared by Leo Le Jambre. Originally Published in the ASP Newsletter Volume 23 No2, June 2012